Restate the whole of the block below character by character.

┌──
Formula: CH2F3N2
Source: the OMol25 dataset
Level of theory: ωB97M-V/def2-TZVPD

Summary:
orbital gap (spin up / spin down): 10.364 / 10.364 eV
total charge: +1

Last column: Mulliken charge in e.
Atoms and positions in Å:
C (-1.3932, 0.6603, 0.0514)  0.5954
N (-0.2493, 0.1236, 0.0659)  -0.2009
N (-3.0437, -0.3146, -0.4534)  0.2244
F (-1.6180, 1.9020, 0.1554)  -0.0933
F (-3.9800, 0.3165, 0.2122)  -0.0399
F (-2.8676, -1.4704, 0.1810)  -0.0721
H (-0.1196, -0.8868, -0.0340)  0.2876
H (0.6019, 0.6940, 0.1769)  0.2988



Formula: C18H17N3O2S
Source: the OMol25 dataset
Level of theory: ωB97M-V/def2-TZVPD

Summary:
orbital gap: 7.605 eV

Last column: Mulliken charge in e.
Atoms and positions in Å:
O (1.9276, 0.8099, 2.8609)  -0.6559
O (0.9482, 1.4656, -2.2119)  -0.4755
S (-4.4547, -0.9043, -1.6372)  -0.4053
C (2.7416, 1.3938, 2.2201)  0.5869
C (4.1226, 1.7124, 2.7611)  -0.9837
C (4.7743, 2.5305, 1.8523)  0.6745
C (-5.3234, -4.2573, 0.4989)  -0.7151
C (-4.1296, -4.5710, 1.0128)  -0.4685
C (-1.3835, 1.2317, -2.9379)  -0.7500
C (-5.3692, -3.1734, -0.4066)  -0.2688
C (-2.6517, 0.6349, -2.8021)  -0.6654
C (-2.9830, -3.8056, 0.7844)  -0.6928
C (-0.4763, -0.2354, -1.2605)  0.2361
C (-0.2983, 0.8226, -2.1319)  0.3740
C (-4.2849, -2.3278, -0.6445)  0.4094
C (-2.8453, -0.2868, -1.7589)  0.4655
C (-2.9979, -2.6979, -0.0210)  0.3356
C (-1.6666, -0.8358, -1.0340)  0.1324
N (-1.7847, -1.9932, -0.1605)  -0.1306
N (3.9279, 2.7027, 0.7297)  -0.3560
N (2.6817, 2.0381, 1.0143)  0.3441
C (6.0772, 3.1478, 1.9253)  -1.1488
C (1.7987, 1.3156, -1.1462)  -0.6764
C (1.4481, 1.9919, 0.1302)  -0.5876
H (4.5428, 1.4562, 3.7009)  0.4004
H (-6.1438, -4.9119, 0.6429)  0.3941
H (-4.1564, -5.4017, 1.7044)  0.3253
H (-1.1223, 1.9707, -3.6994)  0.4015
H (-6.3407, -3.0499, -0.9947)  0.2383
H (-3.5233, 0.8813, -3.4645)  0.3189
H (-2.1276, -4.0955, 1.2338)  0.5035
H (0.3450, -0.7595, -0.6021)  0.0161
H (-0.9632, -2.4793, 0.0392)  0.2389
H (3.9535, 3.5359, 0.1119)  0.2693
H (6.0432, 4.0049, 2.5673)  0.2638
H (6.5618, 3.3625, 0.9375)  0.3412
H (6.6653, 2.3968, 2.3212)  0.3478
H (2.0864, 0.2601, -1.0609)  0.3060
H (2.6827, 1.8241, -1.5450)  0.4330
H (0.6486, 1.3274, 0.5946)  0.3973
H (1.0490, 2.9691, -0.1238)  0.2265



no.,DFT total energy (eV)
1,-12188.21878
2,-38339.51391


# C23H35CaClIN3O2S2

A molecular structure, C23H35CaClIN3O2S2 (wB97M-V/def2-TZVPD, the OMol25 dataset).

frontier orbital gap = 4.03 eV
largest force on an atom = 0.79 eV Å⁻¹
E_tot = -93721.901 eV
LUMO energy = 3.85 eV

Geometry as ORCA input:
```
! RIJCOSX wB97M-V def2-TZVPD def2/J DEFGRID3
* xyz -2 1
Ca 0.26359 1.02435 0.43028
Cl -5.85860 -1.41043 3.81373
C -4.19866 -1.01343 3.40490
C -3.23029 -1.11786 4.36549
C -1.90069 -0.80289 4.07162
I -0.44543 -0.99370 5.55767
C -1.46884 -0.36419 2.80750
O -0.27480 -0.08173 2.51464
C -2.52705 -0.29337 1.79904
N -2.11841 0.06399 0.56850
C -2.99254 0.18332 -0.40278
C -4.35951 -0.07950 -0.20997
C -4.79902 -0.47490 1.02669
C -3.87568 -0.59779 2.08764
H -3.49449 -1.44447 5.36255
H -2.59075 0.50097 -1.35910
H -5.04564 0.03367 -1.03905
H -5.84362 -0.69220 1.20779
C 3.32729 -0.07478 -0.60763
N 2.35609 -0.88644 0.11484
C 2.71806 -1.00217 1.51906
C 2.22883 -2.17479 -0.53409
C 1.13334 -3.06817 0.02692
N -0.19768 -2.50203 -0.06793
C -0.67387 -2.41918 -1.43310
C -1.12512 -3.23924 0.76030
H 4.33015 -0.54655 -0.60004
H 3.37549 0.90512 -0.13335
H 2.98891 0.05880 -1.63560
H 3.65644 -1.57861 1.64810
H 1.92033 -1.47575 2.09064
H 2.84496 0.00540 1.91110
H 3.18258 -2.74156 -0.46252
H 2.05213 -1.98706 -1.59508
H 1.33629 -3.28347 1.07741
H 1.19198 -4.04021 -0.50921
H -0.72924 -3.42217 -1.90538
H -0.03133 -1.77550 -2.02974
H -1.66798 -1.97140 -1.44493
H -1.19648 -4.30577 0.46331
H -2.12018 -2.80025 0.68032
H -0.81386 -3.18781 1.80532
C -0.37587 4.80492 -2.63177
C -0.43791 3.37201 -2.12585
S -1.32972 3.19227 -0.61231
C 0.12819 2.37205 -2.83277
C 0.82738 2.61864 -4.14846
S 0.13188 0.65960 -2.38684
H -0.74635 5.47452 -1.85917
H -0.99688 4.94764 -3.52559
H 0.64426 5.11336 -2.88639
└──

Formula: CH2F3N2
Source: the OMol25 dataset
Level of theory: ωB97M-V/def2-TZVPD

Summary:
orbital gap (spin up / spin down): 10.364 / 10.364 eV
total charge: +1

Last column: Mulliken charge in e.
Atoms and positions in Å:
C (-1.3932, 0.6603, 0.0514)  0.5954
N (-0.2493, 0.1236, 0.0659)  -0.2009
N (-3.0437, -0.3146, -0.4534)  0.2244
F (-1.6180, 1.9020, 0.1554)  -0.0933
F (-3.9800, 0.3165, 0.2122)  -0.0399
F (-2.8676, -1.4704, 0.1810)  -0.0721
H (-0.1196, -0.8868, -0.0340)  0.2876
H (0.6019, 0.6940, 0.1769)  0.2988



Formula: C18H17N3O2S
Source: the OMol25 dataset
Level of theory: ωB97M-V/def2-TZVPD

Summary:
orbital gap: 7.605 eV

Last column: Mulliken charge in e.
Atoms and positions in Å:
O (1.9276, 0.8099, 2.8609)  -0.6559
O (0.9482, 1.4656, -2.2119)  -0.4755
S (-4.4547, -0.9043, -1.6372)  -0.4053
C (2.7416, 1.3938, 2.2201)  0.5869
C (4.1226, 1.7124, 2.7611)  -0.9837
C (4.7743, 2.5305, 1.8523)  0.6745
C (-5.3234, -4.2573, 0.4989)  -0.7151
C (-4.1296, -4.5710, 1.0128)  -0.4685
C (-1.3835, 1.2317, -2.9379)  -0.7500
C (-5.3692, -3.1734, -0.4066)  -0.2688
C (-2.6517, 0.6349, -2.8021)  -0.6654
C (-2.9830, -3.8056, 0.7844)  -0.6928
C (-0.4763, -0.2354, -1.2605)  0.2361
C (-0.2983, 0.8226, -2.1319)  0.3740
C (-4.2849, -2.3278, -0.6445)  0.4094
C (-2.8453, -0.2868, -1.7589)  0.4655
C (-2.9979, -2.6979, -0.0210)  0.3356
C (-1.6666, -0.8358, -1.0340)  0.1324
N (-1.7847, -1.9932, -0.1605)  -0.1306
N (3.9279, 2.7027, 0.7297)  -0.3560
N (2.6817, 2.0381, 1.0143)  0.3441
C (6.0772, 3.1478, 1.9253)  -1.1488
C (1.7987, 1.3156, -1.1462)  -0.6764
C (1.4481, 1.9919, 0.1302)  -0.5876
H (4.5428, 1.4562, 3.7009)  0.4004
H (-6.1438, -4.9119, 0.6429)  0.3941
H (-4.1564, -5.4017, 1.7044)  0.3253
H (-1.1223, 1.9707, -3.6994)  0.4015
H (-6.3407, -3.0499, -0.9947)  0.2383
H (-3.5233, 0.8813, -3.4645)  0.3189
H (-2.1276, -4.0955, 1.2338)  0.5035
H (0.3450, -0.7595, -0.6021)  0.0161
H (-0.9632, -2.4793, 0.0392)  0.2389
H (3.9535, 3.5359, 0.1119)  0.2693
H (6.0432, 4.0049, 2.5673)  0.2638
H (6.5618, 3.3625, 0.9375)  0.3412
H (6.6653, 2.3968, 2.3212)  0.3478
H (2.0864, 0.2601, -1.0609)  0.3060
H (2.6827, 1.8241, -1.5450)  0.4330
H (0.6486, 1.3274, 0.5946)  0.3973
H (1.0490, 2.9691, -0.1238)  0.2265



no.,DFT total energy (eV)
1,-12188.21878
2,-38339.51391


# C23H35CaClIN3O2S2

A molecular structure, C23H35CaClIN3O2S2 (wB97M-V/def2-TZVPD, the OMol25 dataset).

frontier orbital gap = 4.03 eV
largest force on an atom = 0.79 eV Å⁻¹
E_tot = -93721.901 eV
LUMO energy = 3.85 eV

Geometry as ORCA input:
```
! RIJCOSX wB97M-V def2-TZVPD def2/J DEFGRID3
* xyz -2 1
Ca 0.26359 1.02435 0.43028
Cl -5.85860 -1.41043 3.81373
C -4.19866 -1.01343 3.40490
C -3.23029 -1.11786 4.36549
C -1.90069 -0.80289 4.07162
I -0.44543 -0.99370 5.55767
C -1.46884 -0.36419 2.80750
O -0.27480 -0.08173 2.51464
C -2.52705 -0.29337 1.79904
N -2.11841 0.06399 0.56850
C -2.99254 0.18332 -0.40278
C -4.35951 -0.07950 -0.20997
C -4.79902 -0.47490 1.02669
C -3.87568 -0.59779 2.08764
H -3.49449 -1.44447 5.36255
H -2.59075 0.50097 -1.35910
H -5.04564 0.03367 -1.03905
H -5.84362 -0.69220 1.20779
C 3.32729 -0.07478 -0.60763
N 2.35609 -0.88644 0.11484
C 2.71806 -1.00217 1.51906
C 2.22883 -2.17479 -0.53409
C 1.13334 -3.06817 0.02692
N -0.19768 -2.50203 -0.06793
C -0.67387 -2.41918 -1.43310
C -1.12512 -3.23924 0.76030
H 4.33015 -0.54655 -0.60004
H 3.37549 0.90512 -0.13335
H 2.98891 0.05880 -1.63560
H 3.65644 -1.57861 1.64810
H 1.92033 -1.47575 2.09064
H 2.84496 0.00540 1.91110
H 3.18258 -2.74156 -0.46252
H 2.05213 -1.98706 -1.59508
H 1.33629 -3.28347 1.07741
H 1.19198 -4.04021 -0.50921
H -0.72924 -3.42217 -1.90538
H -0.03133 -1.77550 -2.02974
H -1.66798 -1.97140 -1.44493
H -1.19648 -4.30577 0.46331
H -2.12018 -2.80025 0.68032
H -0.81386 -3.18781 1.80532
C -0.37587 4.80492 -2.63177
C -0.43791 3.37201 -2.12585
S -1.32972 3.19227 -0.61231
C 0.12819 2.37205 -2.83277
C 0.82738 2.61864 -4.14846
S 0.13188 0.65960 -2.38684
H -0.74635 5.47452 -1.85917
H -0.99688 4.94764 -3.52559
H 0.64426 5.11336 -2.88639